
Think of Carla but much lighter and simpler or the Car Racing gym but more serious

## Next to the piece, the page also holds calculated molecules
# 1
Below is a structure of composition C29H34CsN3O8, with properties calculated with ωB97M-V with the def2-TZVPD basis set.

```
75
Properties=species:S:1:pos:R:3:forces:R:3
Cs 0.294006 1.401915 1.154843 1.59 -0.31 1.49
O -2.927719 0.023779 2.239215 -0.04 -0.38 0.54
C -2.705476 0.669532 1.198095 -1.16 -0.38 -0.17
O -2.125113 1.755941 1.109247 -1.74 1.05 -0.14
C -3.303882 0.048488 -0.111746 0.30 -0.01 0.58
C -3.143948 -1.467360 -0.030621 -0.90 -0.30 0.36
C -3.878355 -2.184472 -1.192261 0.03 -0.04 0.14
C -2.892974 -1.945830 -2.351636 0.23 -0.04 -0.11
C -1.870193 -1.030105 -1.650081 0.04 0.01 -0.95
O -1.781642 -1.642001 -0.375081 0.38 -0.14 0.29
C -2.547417 0.332984 -1.417593 0.37 0.40 -0.21
C -1.526011 1.524079 -1.449682 -1.06 -0.37 -0.96
O -0.347647 1.244516 -1.174149 0.36 -0.48 -1.81
O -1.966015 2.591528 -1.895003 -0.32 0.64 -0.13
H -4.347680 0.374803 -0.144145 0.02 -0.08 -0.06
H -3.347528 -1.867710 0.959679 0.08 0.07 -0.03
H -4.865115 -1.760279 -1.383962 -0.04 -0.01 0.06
H -3.988279 -3.251579 -0.973392 -0.07 0.08 -0.02
H -3.344952 -1.467760 -3.219255 -0.03 0.01 -0.07
H -2.418252 -2.877783 -2.671720 0.00 -0.01 -0.01
H -0.885122 -0.974408 -2.105498 0.02 0.06 0.03
H -3.263660 0.543676 -2.222324 0.14 -0.04 0.10
C 1.132573 -3.670415 0.006626 -0.04 0.21 0.15
N 1.764267 -3.993094 -1.253512 -0.18 -0.14 0.11
C 1.922162 -5.387747 -1.572664 0.05 -0.20 -0.21
C 2.070537 -5.586760 -3.075431 0.22 0.08 0.16
C 3.168080 -4.654986 -3.570768 -0.16 -0.24 0.02
N 2.797162 -3.307032 -3.238563 0.03 0.01 -0.20
C 3.344234 -2.235580 -4.030942 -0.01 0.12 0.09
C 2.277118 -2.967770 -1.997337 0.07 -0.22 -0.30
O 2.247664 -1.815706 -1.632480 -0.04 0.53 0.22
H 0.114030 -4.060130 0.028069 -0.04 0.01 0.00
H 1.089089 -2.586007 0.103257 -0.04 -0.17 0.07
H 1.696889 -4.093055 0.842094 0.03 0.01 0.07
H 1.045439 -5.932969 -1.205031 0.07 0.08 0.00
H 2.804013 -5.802738 -1.055205 -0.09 -0.04 -0.02
H 1.137512 -5.310285 -3.566836 -0.05 -0.05 -0.05
H 2.300824 -6.628636 -3.306376 0.00 0.00 0.03
H 3.284203 -4.733997 -4.658385 -0.03 0.06 0.12
H 4.136673 -4.929861 -3.117049 -0.05 -0.04 -0.08
H 3.050948 -2.363323 -5.076162 0.05 0.00 -0.01
H 4.438222 -2.195922 -3.963719 0.02 0.05 -0.04
H 2.929503 -1.307488 -3.640095 0.14 -0.01 -0.15
C -0.368510 2.259417 6.019845 0.07 -0.02 0.00
C 0.467282 3.258079 5.274454 -0.11 0.19 -0.06
C -0.167950 4.351008 4.701180 -0.07 -0.03 0.02
C 0.553038 5.296600 3.998391 0.09 0.12 0.04
C 1.914829 5.138784 3.845128 0.02 -0.01 -0.02
C 2.571129 4.037079 4.390917 -0.46 0.25 0.30
N 3.966907 3.993188 4.294656 0.19 0.60 -0.05
C 4.779335 2.942947 3.886578 0.32 -0.38 -0.09
C 6.152901 3.085803 4.104446 -0.02 0.05 0.06
C 7.032279 2.057180 3.823158 0.11 0.07 -0.08
C 6.553085 0.869275 3.297339 0.13 -0.17 -0.05
C 5.199634 0.746951 3.019528 0.05 -0.03 0.19
C 4.302740 1.765932 3.294915 -0.12 0.27 -0.13
C 2.877923 1.670837 2.726266 0.74 0.04 0.10
O 2.591095 2.606166 1.965181 0.64 0.93 -0.10
O 2.195496 0.679156 3.016318 0.36 -0.88 0.79
C 1.851480 3.107351 5.152593 0.13 0.02 0.00

Primary LanguagePythonMIT LicenseMIT

Map of Knuffingen in Miniatur Wunderland Hamburg


Think of Carla but much lighter and simpler or the Car Racing gym but more serious.

Assuming you already have a working perception system, you can use this gym environment to train path planning, control and decision-making algorithms. Examples use detected lane lines, such as road edges, dashed, solid and waiting lines.

It lets you customize the car, to fit your real-world counterpart, and design custom tracks with our Mapbuilder. The observation space is a customizable camera image and the action space includes steering, throttle and a discrete maneuver (straight, left, right, u-turn).

Feel free to make any suggestions for additional features or changes.


Camera simulation

The laneline points from the map are projected onto the camera image, simulating the perception system.

Knuffingen Formula Student
Knuffingen Formula Student

You can also modify the camera parameters to simulate your real-world setup.

  position: [0,0,0.03]  # [x,y,z] in meters relative to middle of front axle
  orientation: [20,0,0] # [pitch,roll,yaw] in degrees)
  resolution: [480,640] # [height, width] in px
  fov: 90               # in degrees
  max_range: 0.5        # render distance in meters (can be None for infinite range)
  line_thickness: 2     # rendered line thickness in px

Lanepath Tracking

Some scenarios want complete freedom for the car. Others might need more info about current state, such as cross-track error, heading error, etc. For this, the lanepath is used. Depending on the given maneuver the car will track the lanepath differently. The lanepath is set with the Mapbuilder in the same way as the lanelines, only that direction matters.

The stanley controller example shows how this info can be leveraged.

Reward shaping

Using wrappers, you can modify the reward function to fit your needs.

import gymnasium as gym
import tinycarlo
from tinycarlo.wrappers import CTESparseRewardWrapper

env = gym.make("tinycarlo-v2", config=config, render_mode="human")
env = CTESparseRewardWrapper(env, 0.01)

You can also stack multiple wrappers.

### Next to the page, the page also holds quantum chemistry results
1.
16
Properties=species:S:1:pos:R:3 method="wB97M-V/def2-TZVPD" charge=-1 homo_ev=-2.953 relative_energy_ev=2.893 energy_ha=-383.50022
O 0.285 -2.435 2.182
C 0.529 -1.270 1.903
C -0.120 -0.545 0.774
C 0.611 0.741 0.405
C -0.362 1.736 -0.440
O -1.522 1.199 -0.829
H 1.336 -0.746 2.448
H -1.187 -0.210 0.785
H -0.264 -1.172 -0.099
H 1.027 1.245 1.279
H 1.408 0.469 -0.309
H -0.544 2.586 0.293
H 0.294 2.097 -1.275
H -1.216 -1.239 -2.224
H 0.093 -0.807 -2.521
O -0.366 -1.648 -2.371

2.
16
Properties=species:S:1:pos:R:3 method="wB97M-V/def2-TZVPD" multiplicity=2 s2=0.75 homo_ev="-9.249 / -10.407" relative_energy_ev=0.000 energy_ha=-383.45252
H 3.977 3.529 0.000
C -0.561 1.430 0.000
C 0.092 0.104 0.000
O -0.906 -0.941 -0.002
C -0.743 -2.293 0.000
O 0.347 -2.844 0.000
C -2.109 -2.925 0.000
H -0.815 1.893 0.954
H -0.815 1.894 -0.954
H 0.682 0.043 -0.928
H 0.681 0.042 0.928
H -2.828 -2.109 0.000
H -2.240 -3.564 -0.876
H -2.240 -3.563 0.877
O 4.193 4.451 -0.001
H 3.284 4.853 0.000

3.
16
Properties=species:S:1:pos:R:3 method="wB97M-V/def2-TZVPD" multiplicity=2 s2=0.76 homo_ev="-9.940 / -9.941" relative_energy_ev=1.482 energy_ha=-383.39806
C -1.896 -0.757 1.809
C -1.666 -0.852 0.341
O -0.848 0.010 2.321
H -2.715 -0.174 2.138
H -1.675 -1.799 2.211
H -2.561 -0.703 -0.327
H -0.220 0.312 1.635
H -1.485 -1.836 -0.128
H -0.826 -0.190 0.022
C 2.080 1.601 -1.669
C 1.880 -0.124 -1.191
O 0.976 -0.689 -1.764
O 2.762 -0.379 -0.435
H 1.257 1.977 -0.919
H 1.866 1.635 -2.710
H 3.072 1.967 -1.333

4.
16
Properties=species:S:1:pos:R:3 method="wB97M-V/def2-TZVPD" multiplicity=2 s2=0.76 homo_ev="-10.174 / -10.174" relative_energy_ev=0.376 energy_ha=-383.43871
C -1.085 2.483 0.225
C 0.347 2.196 -0.524
O 0.925 1.199 -0.159
O 0.486 3.086 -1.375
H -1.339 3.525 0.081
H -0.867 2.364 1.284
H -1.727 1.715 -0.183
C -0.183 -2.556 -0.065
C 0.779 -2.061 0.960
O -1.071 -3.529 0.476
H -0.856 -1.759 -0.350
H 0.345 -2.976 -0.913
H 1.514 -1.385 0.552
H -0.634 -4.172 1.024
H 1.206 -2.882 1.525
H 0.248 -1.439 1.685

5.
17
Properties=species:S:1:pos:R:3 method="wB97M-V/def2-TZVPD" charge=-1 homo_ev="-2.179 / -3.123" relative_energy_ev=4.934 energy_ha=-781.62436
C -0.080 1.087 0.960
C -1.343 0.883 -1.096
C -0.518 -1.985 0.006
C -1.144 0.377 0.291
O 2.709 -0.943 0.648
O 3.183 1.509 0.154
O -1.409 -0.991 0.477
S 2.568 0.212 -0.348
H 0.176 0.628 1.900
H 0.866 0.720 0.311
H -0.232 2.167 1.092
H -0.429 0.395 -1.478
H -2.193 0.616 -1.568
H -1.244 2.049 -1.198
H 0.445 -1.937 0.502
H -0.392 -1.900 -1.129
H -0.964 -2.889 0.475

6.
18
Properties=species:S:1:pos:R:3 method="wB97M-V/def2-TZVPD" smiles="CO[P@@](=O)([O-])C(C)(C)[O-]" charge=-2 homo_ev=0.945 relative_energy_ev=1.912 energy_ha=-800.05379
C 3.363 0.141 0.083
O 2.267 0.890 0.030
P 0.715 -0.524 -0.117
O 1.172 -1.351 -1.245
O 0.950 -1.038 1.224
C -1.533 -0.398 -0.073
C -1.651 0.421 1.236
C -2.203 0.403 -1.287
O -1.798 -1.603 -0.125
H 3.287 -0.486 0.968
H 4.245 0.703 0.219
H 3.448 -0.626 -0.815
H -2.769 0.456 1.640
H -1.101 -0.014 1.961



To keep it simple and lightweight no physics engine is used (yet). Only the kinematics, not the dynamics, are simulated. This means that the car can't overstear or understeer. It also has no slip. You can literray go as fast as you want around a corner. This will be changed in the future.


Only camera is simulated. Other sensors like lidar, radar, ultrasonic, etc. are not simulated (yet). There is also no support for 3D object detection even though it is not much code needed to add this feature. The camera already does a proper projection of 3D points onto the 2D image with clipping and Z-Buffering. For the lanelines, z is simply set to 0.


The current recommended way to install tinycarlo is from source.

From source

git clone https://github.com/danielriege/tinycarlo
cd tinycarlo
python3 -m pip3 install -e .


In order to properly create the environment, you need to provide a configuration file. Look at the example for a detailed explanation of the parameters.

The observation space is defined by the camera resolution and the observation_space_format in sim config. For the "rgb" format the observation space is HxWx3 and for the "classes" format it is CxHxW with each channel being a binary mask.

The action space is dictionary with "car_control" and "maneuver". car_control is a tuple of steering and throttle, both in [-1, 1] range. maneuver is a discrete action space with 4 actions: straight, right, u-turn, left. Depending on the maneuver, the car tracking of lanepath is adjusted. For a u-turn a not connected path segment is selected, based on the new direction of travel.

info is a dictionary with additional information about the car state, such as the current position, cross-track and heading error and distances to nearest laneline segments. All except the position are dependent on the lanepath set with the mapbuilder.

Quick example with yaml

import gymnasium as gym
import tinycarlo

config_path = "path/to/your/config.yaml"
env = gym.make("tinycarlo-v2", config=config_path, render_mode="human")

observation, info = env.reset()

while True:
    action = env.action_space.sample()
    observation, reward, terminated, truncated, info = env.step(action)
    if terminated or truncated:
        observation, info = env.reset()


Quick example with dict

import gymnasium as gym
import tinycarlo

**Next to the entry, the page also holds molecular data**
+++
*a*
ORCA calculation (ωB97M-V with the def2-TZVPD basis set) on a cluster of 2 separate species, C5H14OS in total.

## Properties
LUMO level = 0.588 eV
Orbital gap = 8.89 eV
SMILES = CCCCSC.O

Last column: Mulliken charge in e.
Geometry (Å):
C  -0.60  1.75  1.31  -0.962
C  0.51  0.62  1.25  -0.351
C  0.85  -0.04  -0.07  -0.408
C  -0.45  -0.58  -0.75  -0.705
S  -1.46  -1.65  0.36  -0.081
C  -0.54  -3.15  0.24  -0.828
H  -0.52  2.55  0.55  0.174
H  -1.59  1.25  1.28  0.261
H  -0.64  2.30  2.36  0.297
H  0.19  -0.22  1.91  0.214
H  1.41  1.24  1.58  0.289
H  1.56  -0.92  0.18  0.220
H  1.38  0.52  -0.85  0.350
H  -1.01  0.23  -1.21  0.328
H  -0.07  -1.35  -1.54  0.349
H  -0.67  -3.61  -0.75  0.268
H  -0.89  -3.87  1.01  0.331
H  0.57  -3.06  0.41  0.248
O  0.97  2.47  -2.21  -0.632
H  0.13  2.97  -1.84  0.317
H  0.87  2.53  -3.21  0.322

*b*
ORCA calculation (ωB97M-V with the def2-TZVPD basis set) on a cluster of 2 separate species, C5H14OS in total.

## Properties
LUMO level = 0.844 eV
Orbital gap = 9.31 eV
SMILES = CCCCSC.O

Last column: Mulliken charge in e.
Geometry (Å):
C  -1.23  -0.86  0.21  -0.940
C  -0.49  0.19  1.02  -0.514
C  1.01  0.20  0.75  -0.517
C  1.43  0.66  -0.68  -0.849
S  0.18  1.46  -1.72  -0.062
C  0.78  3.18  -1.69  -0.886
H  -0.75  -1.83  0.29  0.133
H  -1.46  -0.60  -0.83  0.273
H  -2.22  -1.07  0.63  0.387
H  -0.98  1.16  0.96  0.295
H  -0.67  -0.01  2.08  0.372
H  1.53  0.89  1.41  0.293
H  1.41  -0.80  0.92  0.325
H  1.89  -0.14  -1.24  0.398
H  2.17  1.43  -0.56  0.408
H  1.72  3.30  -2.23  0.291
H  -0.02  3.77  -2.14  0.329
H  0.93  3.43  -0.65  0.271
O  -1.54  -5.07  1.02  -0.658
H  -2.29  -5.15  1.62  0.309
H  -1.39  -4.14  0.84  0.343

Q: Which of them is the least stable? A: *a*.

~~~~~

No. 1
Entry from OMol25: a molecular structure, C23H19CaNO6PS3 (ωB97M-V/def2-TZVPD).

Properties
Largest force on an atom (Eh/bohr): 0.0132
E_LUMO (eV): 2.280
Multiplicity: 1
DFT total energy (Ha): -3607.84713
E_HOMO (eV): -5.22
Gap between HOMO and LUMO (eV): 7.5
Net charge: -1

```
54
Properties=species:S:1:pos:R:3:forces:R:3:mulliken_charge:R:1
Ca -0.51207 1.43904 0.37542 0.5 0.3 0.2 1.727
O 3.23726 -0.82222 0.34868 0.0 0.0 0.1 -0.746
C 2.23036 -0.25822 0.75602 0.2 -0.1 0.0 0.314
O 1.29758 0.24264 0.03825 -0.3 0.0 0.0 -0.734
C 2.03396 -0.11761 2.28584 0.1 0.0 0.0 -0.887
P 0.26053 -0.19806 2.73272 0.0 0.0 -0.2 0.952
C 0.24711 -0.00804 4.54795 0.1 0.1 0.0 0.073
C 0.66527 -1.00593 5.42711 0.0 0.0 -0.1 -0.197
C 0.64463 -0.79279 6.79486 0.0 0.0 0.0 -0.664
C 0.20929 0.42509 7.30356 0.0 0.0 0.0 -0.409
C -0.20448 1.42516 6.43884 0.0 0.0 0.0 -0.578
C -0.18886 1.20697 5.06737 0.0 0.1 0.0 -0.411
C -0.12945 -1.97050 2.54238 -0.1 0.1 0.0 0.482
C -1.37381 -2.40170 3.00813 0.0 0.0 0.0 -0.401
C -1.76731 -3.71897 2.85224 0.0 0.0 0.0 -0.748
C -0.92613 -4.62439 2.21425 0.0 0.0 0.0 -0.461
C 0.30159 -4.19927 1.73671 0.0 0.0 0.0 -0.674
C 0.70225 -2.87742 1.89703 0.1 -0.1 0.0 -0.455
H 2.37185 0.88624 2.55869 0.0 0.0 0.0 0.580
+++

config = {
    "sim": {
        "fps": 30,
    "camera": {
        "position": [0, 0, 0.03],  # [x,y,z] in m relative to middle of front axle
        "orientation": [20, 0, 0], # [pitch,roll,yaw] in degrees
        "resolution": [480, 640],  # [height, width] in pixels
env = gym.make("tinycarlo-v2", config=config, render_mode="human")

Running tests

The test coverage is not yet complete.

python3 -m pip install -e .[testing] # install extra deps for testing
python3 test/test_layer.py           # just the layer tests
python3 -m pytest                    # whole test suite